**Entries:**
/*
TbScAu4: calculated powder diffraction line list (Cu Kα), based on the GGA-PBE geometry in OQMD.

Peak list (10 most intense, 2θ from 10° to 80°, sorted by position)
19.86 deg, I = 4; 26.38 deg, I = 11; 31.65 deg, I = 6; 34.77 deg, I = 69; 39.02 deg, I = 100; 40.36 deg, I = 4; 49.99 deg, I = 25; 62.31 deg, I = 6; 65.18 deg, I = 45; 73.38 deg, I = 23

Crystal structure
```
TbScAu4
1.0
3.649 0.000 0.000
0.000 3.649 0.000
0.000 0.000 8.940
Tb Sc Au
1 1 4
Cartesian
0.000 0.000 0.000
1.824 1.824 4.470
0.000 0.000 3.058
0.000 0.000 5.882
1.824 1.824 1.546
1.824 1.824 7.395
```

***

Bi10IrS10: calculated powder diffraction line list (Cu Kα), based on the GGA-PBE geometry in OQMD.

Peak list (10 most intense, 2θ from 10° to 80°, sorted by position)
21.55 deg, I = 52; 24.95 deg, I = 39; 25.81 deg, I = 29; 26.31 deg, I = 100; 26.59 deg, I = 37; 27.49 deg, I = 69; 28.98 deg, I = 68; 33.32 deg, I = 67; 41.80 deg, I = 49; 42.13 deg, I = 40

Crystal structure
```
Bi10IrS10
1.0
10.748 0.000 0.000
0.000 12.863 0.000
0.000 0.000 8.580
Bi Ir S
20 2 20
Cartesian
0.000 0.000 1.982
0.000 0.000 6.598
1.500 5.241 1.949
1.500 5.241 6.631
1.566 8.677 0.000
2.655 2.285 4.290
2.719 8.717 4.290
3.809 2.246 0.000
3.874 11.673 1.949
3.874 11.673 6.631
5.374 6.431 1.982
5.374 6.431 6.598
6.874 1.190 1.949
6.874 1.190 6.631
6.940 10.617 0.000
8.029 4.146 4.290
8.094 10.577 4.290
9.183 4.186 0.000
9.249 7.622 1.949
9.249 7.622 6.631
0.000 6.431 0.000
5.374 0.000 0.000
0.044 8.335 4.290
1.559 11.799 0.000
1.643 2.420 1.680
1.643 2.420 6.900
1.853 12.665 4.290
3.521 6.233 4.290
3.731 8.852 1.680
3.731 8.852 6.900
3.815 5.368 0.000
5.330 1.904 4.290
5.418 10.959 4.290
6.933 7.495 0.000
7.017 4.011 1.680
7.017 4.011 6.900
7.228 6.630 4.290
8.895 0.198 4.290
9.105 10.442 1.680
9.105 10.442 6.900
9.189 1.064 0.000
10.704 4.527 4.290
```

***

NiHg2S4: calculated powder diffraction line list (Cu Kα), based on the GGA-PBE geometry in OQMD.

Peak list (10 most intense, 2θ from 10° to 80°, sorted by position)
18.55 deg, I = 50; 28.75 deg, I = 100; 29.44 deg, I = 30; 33.84 deg, I = 19; 38.86 deg, I = 30; 45.45 deg, I = 12; 47.44 deg, I = 35; 48.60 deg, I = 15; 55.37 deg, I = 16; 57.45 deg, I = 28

Crystal structure
```
NiHg2S4
1.0
5.298 0.000 0.000
0.000 5.298 0.000
0.000 0.000 11.105
Ni Hg S
2 4 8
Cartesian
0.000 0.000 0.000
2.649 2.649 5.552
0.000 0.000 5.552
0.000 2.649 2.776
2.649 0.000 8.328
2.649 2.649 0.000
0.892 1.349 9.685
1.300 3.541 6.972
1.349 4.406 1.419
1.757 1.300 4.133
3.541 3.998 4.133
3.949 0.892 1.419
3.998 1.757 6.972
4.406 3.949 9.685
```

***

Al2HgTe2S2: calculated powder diffraction line list (Cu Kα), based on the GGA-PBE geometry in OQMD.

Peak list (10 most intense, 2θ from 10° to 80°, sorted by position)
16.16 deg, I = 50; 17.01 deg, I = 48; 21.43 deg, I = 69; 26.01 deg, I = 100; 26.96 deg, I = 87; 28.42 deg, I = 31; 34.41 deg, I = 28; 38.72 deg, I = 31; 44.31 deg, I = 39; 45.06 deg, I = 59

Crystal structure
```
Al2HgTe2S2
1.0
8.296 0.000 0.000
0.000 10.970 0.000
-3.996 0.000 4.388
Al Hg Te S
4 2 4 4
Cartesian
0.000 0.000 0.000
-1.998 2.344 2.194
4.148 5.485 0.000
2.150 7.829 2.194
-1.998 8.140 2.194
2.150 2.655 2.194
-2.081 4.087 4.195
2.233 9.572 0.193
2.067 9.572 4.195
6.381 4.087 0.193
-0.115 1.075 2.007
0.267 6.561 2.381
4.034 6.561 2.007
4.415 1.075 2.381
```

***

PrFeSn2Ge: calculated powder diffraction line list (Cu Kα), based on the GGA-PBE geometry in OQMD.

Peak list (10 most intense, 2θ from 10° to 80°, sorted by position)
30.60 deg, I = 100; 30.74 deg, I = 22; 34.35 deg, I = 32; 39.38 deg, I = 17; 40.28 deg, I = 42; 40.60 deg, I = 28; 45.36 deg, I = 16; 51.47 deg, I = 22; 58.53 deg, I = 28; 67.26 deg, I = 22

Crystal structure
```
PrFeSn2Ge
1.0
2.239 -11.633 0.000
2.239 11.633 0.000
0.000 0.000 4.444
Pr Fe Sn Ge
2 2 4 2
Cartesian
2.239 7.523 0.000
2.239 -7.523 0.000
2.239 2.737 2.222
2.239 -2.737 2.222
2.239 10.150 2.222
2.239 1.462 0.000
2.239 -1.462 0.000
2.239 -10.150 2.222
2.239 5.047 2.222
2.239 -5.047 2.222
```

***
*/

**Wanted:**
It remains to copy everything above exactly.

**Response:**
TbScAu4: calculated powder diffraction line list (Cu Kα), based on the GGA-PBE geometry in OQMD.

Peak list (10 most intense, 2θ from 10° to 80°, sorted by position)
19.86 deg, I = 4; 26.38 deg, I = 11; 31.65 deg, I = 6; 34.77 deg, I = 69; 39.02 deg, I = 100; 40.36 deg, I = 4; 49.99 deg, I = 25; 62.31 deg, I = 6; 65.18 deg, I = 45; 73.38 deg, I = 23

Crystal structure
```
TbScAu4
1.0
3.649 0.000 0.000
0.000 3.649 0.000
0.000 0.000 8.940
Tb Sc Au
1 1 4
Cartesian
0.000 0.000 0.000
1.824 1.824 4.470
0.000 0.000 3.058
0.000 0.000 5.882
1.824 1.824 1.546
1.824 1.824 7.395
```

***

Bi10IrS10: calculated powder diffraction line list (Cu Kα), based on the GGA-PBE geometry in OQMD.

Peak list (10 most intense, 2θ from 10° to 80°, sorted by position)
21.55 deg, I = 52; 24.95 deg, I = 39; 25.81 deg, I = 29; 26.31 deg, I = 100; 26.59 deg, I = 37; 27.49 deg, I = 69; 28.98 deg, I = 68; 33.32 deg, I = 67; 41.80 deg, I = 49; 42.13 deg, I = 40

Crystal structure
```
Bi10IrS10
1.0
10.748 0.000 0.000
0.000 12.863 0.000
0.000 0.000 8.580
Bi Ir S
20 2 20
Cartesian
0.000 0.000 1.982
0.000 0.000 6.598
1.500 5.241 1.949
1.500 5.241 6.631
1.566 8.677 0.000
2.655 2.285 4.290
2.719 8.717 4.290
3.809 2.246 0.000
3.874 11.673 1.949
3.874 11.673 6.631
5.374 6.431 1.982
5.374 6.431 6.598
6.874 1.190 1.949
6.874 1.190 6.631
6.940 10.617 0.000
8.029 4.146 4.290
8.094 10.577 4.290
9.183 4.186 0.000
9.249 7.622 1.949
9.249 7.622 6.631
0.000 6.431 0.000
5.374 0.000 0.000
0.044 8.335 4.290
1.559 11.799 0.000
1.643 2.420 1.680
1.643 2.420 6.900
1.853 12.665 4.290
3.521 6.233 4.290
3.731 8.852 1.680
3.731 8.852 6.900
3.815 5.368 0.000
5.330 1.904 4.290
5.418 10.959 4.290
6.933 7.495 0.000
7.017 4.011 1.680
7.017 4.011 6.900
7.228 6.630 4.290
8.895 0.198 4.290
9.105 10.442 1.680
9.105 10.442 6.900
9.189 1.064 0.000
10.704 4.527 4.290
```

***

NiHg2S4: calculated powder diffraction line list (Cu Kα), based on the GGA-PBE geometry in OQMD.

Peak list (10 most intense, 2θ from 10° to 80°, sorted by position)
18.55 deg, I = 50; 28.75 deg, I = 100; 29.44 deg, I = 30; 33.84 deg, I = 19; 38.86 deg, I = 30; 45.45 deg, I = 12; 47.44 deg, I = 35; 48.60 deg, I = 15; 55.37 deg, I = 16; 57.45 deg, I = 28

Crystal structure
```
NiHg2S4
1.0
5.298 0.000 0.000
0.000 5.298 0.000
0.000 0.000 11.105
Ni Hg S
2 4 8
Cartesian
0.000 0.000 0.000
2.649 2.649 5.552
0.000 0.000 5.552
0.000 2.649 2.776
2.649 0.000 8.328
2.649 2.649 0.000
0.892 1.349 9.685
1.300 3.541 6.972
1.349 4.406 1.419
1.757 1.300 4.133
3.541 3.998 4.133
3.949 0.892 1.419
3.998 1.757 6.972
4.406 3.949 9.685
```

***

Al2HgTe2S2: calculated powder diffraction line list (Cu Kα), based on the GGA-PBE geometry in OQMD.

Peak list (10 most intense, 2θ from 10° to 80°, sorted by position)
16.16 deg, I = 50; 17.01 deg, I = 48; 21.43 deg, I = 69; 26.01 deg, I = 100; 26.96 deg, I = 87; 28.42 deg, I = 31; 34.41 deg, I = 28; 38.72 deg, I = 31; 44.31 deg, I = 39; 45.06 deg, I = 59

Crystal structure
```
Al2HgTe2S2
1.0
8.296 0.000 0.000
0.000 10.970 0.000
-3.996 0.000 4.388
Al Hg Te S
4 2 4 4
Cartesian
0.000 0.000 0.000
-1.998 2.344 2.194
4.148 5.485 0.000
2.150 7.829 2.194
-1.998 8.140 2.194
2.150 2.655 2.194
-2.081 4.087 4.195
2.233 9.572 0.193
2.067 9.572 4.195
6.381 4.087 0.193
-0.115 1.075 2.007
0.267 6.561 2.381
4.034 6.561 2.007
4.415 1.075 2.381
```

***

PrFeSn2Ge: calculated powder diffraction line list (Cu Kα), based on the GGA-PBE geometry in OQMD.

Peak list (10 most intense, 2θ from 10° to 80°, sorted by position)
30.60 deg, I = 100; 30.74 deg, I = 22; 34.35 deg, I = 32; 39.38 deg, I = 17; 40.28 deg, I = 42; 40.60 deg, I = 28; 45.36 deg, I = 16; 51.47 deg, I = 22; 58.53 deg, I = 28; 67.26 deg, I = 22

Crystal structure
```
PrFeSn2Ge
1.0
2.239 -11.633 0.000
2.239 11.633 0.000
0.000 0.000 4.444
Pr Fe Sn Ge
2 2 4 2
Cartesian
2.239 7.523 0.000
2.239 -7.523 0.000
2.239 2.737 2.222
2.239 -2.737 2.222
2.239 10.150 2.222
2.239 1.462 0.000
2.239 -1.462 0.000
2.239 -10.150 2.222
2.239 5.047 2.222
2.239 -5.047 2.222
```

***